McIntosh MC-75 in unknown condition, what do I do?

OK, I hope people don't hate me for this, I found a McIntosh MC-75 that was getting thrown out with a bunch of old electrical test equipment. I have no idea why it was getting dumped but it was there and I am attempting to recycle it.

- - -
For Li3ZrSc3Se8, a cell relaxed with GGA-PBE gives the simulated powder X-ray diffraction pattern in this record (CuKα).
Kinematic intensities with the Lorentz-polarization factor, no thermal factor.

Cell and atoms:
Cell: 7.7111 7.7111 19.3714 Å, 90.00 90.00 120.00°
Space group R-3m (No. 166, hexagonal axes)
Inequivalent atoms, fractional coordinates:
Li 0.0000 0.5000 0.0000
Zr 0.0000 0.0000 0.5000
Sc 0.0000 0.5000 0.5000
Se 0.0000 0.0000 0.2476
Se 0.9999 0.5000 0.2472

Most intense lines, 10° ≤ 2θ ≤ 90°, sorted by position:
(hkl), two_theta, Rel. int.
0 0 3, 13.71, 22
2 0 2, 28.27, 29
0 2 4, 32.57, 100
2 0 8, 46.32, 36
2 2 0, 47.14, 35
4 0 4, 58.48, 18
0 4 8, 68.23, 11
2 2 12, 77.05, 15
2 4 4, 78.29, 15
4 2 8, 87.08, 11

=====

Record 1
For LuMgTl, a structure optimized by DFT (PBE) gives the simulated powder diffractogram in this record (Cu Kα (λ = 1.5418 Å)).

Peak list (8 most intense, 10 to 80 degrees two-theta, low angle first)
d 3.763, 23.65°, I 21
d 3.736, 23.82°, I 36
d 2.906, 30.77°, I 52
d 2.651, 33.81°, I 100
d 2.312, 38.95°, I 25
d 2.162, 41.78°, I 26
d 2.157, 41.88°, I 23
d 1.413, 66.13°, I 26

Cell and atoms:
```
LuMgTl
1.0
7.4717 0.0000 0.0000
-3.7359 6.4707 0.0000
0.0000 0.0000 4.6250
Lu Mg Tl
3 3 3
direct
0.0000 0.5735 0.0000
0.4265 0.4265 0.0000
0.5735 0.0000 0.0000
0.0000 0.2459 0.5000
0.2459 0.0000 0.5000
0.7541 0.7541 0.5000
0.0000 0.0000 0.0000
0.3333 0.6667 0.5000
0.6667 0.3333 0.5000
```

Record 2
For LuMgTl2, a structure optimized by DFT (PBE) gives the simulated powder diffractogram in this record (Cu Kα (λ = 1.5418 Å)).

Peak list (8 most intense, 10 to 80 degrees two-theta, low angle first)
d 4.274, 20.78°, I 14
d 3.702, 24.04°, I 13
d 2.618, 34.26°, I 100
d 2.232, 40.41°, I 8
d 1.851, 49.23°, I 18
d 1.655, 55.51°, I 6
d 1.511, 61.34°, I 38
d 1.309, 72.18°, I 12

Cell and atoms:
```
LuMgTl2
1.0
7.4035 0.0000 0.0000
0.0000 7.4035 0.0000
0.0000 0.0000 7.4035
Lu Mg Tl
4 4 8
direct
0.0000 0.0000 0.0000
0.0000 0.5000 0.5000
0.5000 0.0000 0.5000
0.5000 0.5000 0.0000
0.0000 0.0000 0.5000
0.0000 0.5000 0.0000
0.5000 0.0000 0.0000
0.5000 0.5000 0.5000
0.2500 0.2500 0.2500
0.2500 0.2500 0.7500
0.2500 0.7500 0.2500
0.2500 0.7500 0.7500
0.7500 0.2500 0.2500
0.7500 0.2500 0.7500
0.7500 0.7500 0.2500
0.7500 0.7500 0.7500
```

Record 3
For TmLuMg2, a structure optimized by DFT (PBE) gives the simulated powder diffractogram in this record (Cu Kα (λ = 1.5418 Å)).

Peak list (8 most intense, 10 to 80 degrees two-theta, low angle first)
d 3.744, 23.77°, I 66
d 2.647, 33.86°, I 100
d 2.162, 41.79°, I 20
d 1.872, 48.64°, I 18
d 1.674, 54.83°, I 28
d 1.528, 60.58°, I 38
d 1.324, 71.24°, I 12
d 1.248, 76.30°, I 14

Cell and atoms:
```
TmLuMg2
1.0
7.4877 0.0000 0.0000
0.0000 7.4877 0.0000
0.0000 0.0000 7.4877
Tm Lu Mg
4 4 8
direct
0.0000 0.0000 0.0000
0.0000 0.5000 0.5000
0.5000 0.0000 0.5000
0.5000 0.5000 0.0000
0.0000 0.0000 0.5000
0.0000 0.5000 0.0000
0.5000 0.0000 0.0000
0.5000 0.5000 0.5000
0.2500 0.2500 0.2500
0.2500 0.2500 0.7500
- - -

Of course this isn't a process with out a few hang ups. First, I only have one amp and these are mono-blocks, normally sold as a pair. As such I don't know how much I should expect to pay for 1 additional amp so I can have a pair of the things. Heck, I'm not sure I even know where to find a single MC-75! Well aside from in a pile of junk test equipment.

Second, I haven't even plugged the thing in yet. I don't want to find out that something is wrong with it and I did more damage by powering it up without checking first. Any suggestions as to what I might check before I plug it in and what I might do after I plug it in?

Finally, any suggested resources for this amp? I admit I haven't searched much but if anyone has any recommendations off the top of the head I would appreciate it.
Nikki, with all due respect to Almarg, you don't want to operate it AT ALL! The electrolytic caps are probably shot, and even if they aren't, they have to be brought up to power slowly with a Variac. Don't even worry about the tubes at this point!

The best person to put this little gem back in shape for you is Terry DeWick in Knoxville TN.
Terry is a McIntosh wizard and does most of the important McIntosh repair and/or restoration for owners all over the country (including me!)

These records of crystals were left in the piece by mistake:
┌──
[1]
For Bi2O3, a PBE-relaxed structure gives the theoretical powder diffractogram in this record (λ = 1.5418 Å (Cu Kα)).
No peak broadening, texture or thermal motion is included.

Main lines, in order of rising 2θ (10 to 90 degrees two-theta):
2θ (°)  Rel. int.
24.7  8
27.1  100
31.3  42
44.9  37
49.2  9
53.2  38
55.8  10
72.1  11
74.3  10
89.2  8

Atomic structure:
Lattice parameters (Å, degrees): 8.0753 8.0753 5.7058 90.00 90.00 90.00
Fractional positions:
Bi1 0.0336 0.2649 0.2535
Bi2 0.2351 0.4664 0.7535
Bi3 0.2649 0.9664 0.7465
Bi4 0.4664 0.7649 0.2465
Bi5 0.5336 0.2351 0.2465
Bi6 0.7351 0.0336 0.7465
Bi7 0.7649 0.5336 0.7535
Bi8 0.9664 0.7351 0.2535
O1 0.0000 0.5000 0.4280
O2 0.0000 0.5000 0.9280
O3 0.1718 0.2129 0.5695
O4 0.2129 0.8282 0.4305
O5 0.2871 0.3282 0.0695
O6 0.3282 0.7129 0.9305
O7 0.5000 0.0000 0.0720
O8 0.5000 0.0000 0.5720
O9 0.6718 0.2871 0.9305
O10 0.7129 0.6718 0.0695
O11 0.7871 0.1718 0.4305
O12 0.8282 0.7871 0.5695



[2]
For Bi2O3, a PBE-relaxed structure gives the theoretical powder diffractogram in this record (λ = 1.5418 Å (Cu Kα)).
No peak broadening, texture or thermal motion is included.

Main lines, in order of rising 2θ (10 to 90 degrees two-theta):
2θ (°)  Rel. int.
26.1  23
29.0  25
29.9  100
39.4  20
46.1  21
52.0  25
55.4  23
55.9  16
75.3  11
79.0  8

Atomic structure:
Lattice parameters (Å, degrees): 7.8811 7.8811 6.1535 90.00 90.00 120.00
Fractional positions:
Bi1 0.1427 0.8013 0.0000
Bi2 0.1987 0.3414 0.0000
Bi3 0.3333 0.6667 0.4981
Bi4 0.3414 0.1987 0.5000
Bi5 0.6586 0.8573 0.0000
Bi6 0.6667 0.3333 0.9981
Bi7 0.8013 0.1427 0.5000
Bi8 0.8573 0.6586 0.5000
O1 0.0784 0.5860 0.6997
O2 0.1158 0.2532 0.3783
O3 0.1374 0.8842 0.3783
O4 0.2532 0.1158 0.8783
O5 0.4140 0.4924 0.6997
O6 0.4924 0.4140 0.1997
O7 0.5076 0.9216 0.6997
O8 0.5860 0.0784 0.1997
O9 0.7468 0.8626 0.3783
O10 0.8626 0.7468 0.8783
O11 0.8842 0.1374 0.8783
O12 0.9216 0.5076 0.1997



[3]
For BiO2, a PBE-relaxed structure gives the theoretical powder diffractogram in this record (λ = 1.5418 Å (Cu Kα)).
No peak broadening, texture or thermal motion is included.

Main lines, in order of rising 2θ (10 to 90 degrees two-theta):
2θ (°)  Rel. int.
10.6  62
15.1  46
23.9  52
30.2  100
30.4  22
32.3  30
40.5  33
46.4  15
48.9  47
56.4  21

Atomic structure:
Lattice parameters (Å, degrees): 8.4997 8.4997 8.4997 92.53 92.53 155.74
Fractional positions:
Bi1 0.1555 0.3424 0.4979
Bi2 0.3424 0.8445 0.1869
Bi3 0.6576 0.1555 0.8131
Bi4 0.8445 0.6576 0.5021
O1 0.0343 0.6655 0.6998
O2 0.2760 0.6622 0.9382
O3 0.3345 0.0343 0.3688
O4 0.3378 0.2760 0.6138
O5 0.6622 0.7240 0.3862
O6 0.6655 0.9657 0.6312
O7 0.7240 0.3378 0.0618
O8 0.9657 0.3345 0.3002



[4]
For BiO4, a PBE-relaxed structure gives the theoretical powder diffractogram in this record (λ = 1.5418 Å (Cu Kα)).
No peak broadening, texture or thermal motion is included.

Main lines, in order of rising 2θ (10 to 90 degrees two-theta):
2θ (°)  Rel. int.
20.1  95
29.0  56
29.6  85
31.9  100
33.5  32
37.5  50
└──

As for another one, singles often come up here on Agon, on eBay, and you can ask Terry as well. He can give you tips on cleaning the chrome and other info, so don't hesitate to call him. Also, if your amp has a pair of ORIGINAL KT-88's (made in the UK) and they have good getters (still fairly silvery on the top and both sides of the tube) those alone are worth $200 to $500 a pair!

**These data records were left in the piece by mistake:**
- - -
For Sm2CdWO8, a structure optimized by DFT (GGA+U) gives the simulated X-ray powder pattern in this record (Cu Ka).

Peak list (10 most intense, 15° ≤ 2θ ≤ 90°, in order of rising 2θ)
hkl 1 1 0, 2θ 25.27, I 100; hkl 1 -1 0, 2θ 26.85, I 66; hkl 0 1 2, 2θ 28.79, I 60; hkl 0 1 -2, 2θ 30.58, I 52; hkl 1 0 2, 2θ 31.08, I 44; hkl 1 0 -2, 2θ 31.23, I 42; hkl 0 2 0, 2θ 34.68, I 26; hkl 1 2 2, 2θ 45.06, I 24; hkl 1 2 -2, 2θ 47.62, I 21; hkl 0 0 4, 2θ 49.32, I 29

Unit cell a=4.5622 b=5.1923 c=7.4098 alpha=86.42 beta=89.52 gamma=86.55
Space group P-1 (No. 2)
Unique sites:
Sm (0.0671, 0.4652, 0.2490)
Cd (0.5000, 0.0000, 0.0000)
W (0.5000, 0.0000, 0.5000)
O (0.1780, 0.2528, 0.5426)
O (0.1954, 0.3065, 0.9770)
O (0.2779, 0.8606, 0.3041)
O (0.3742, 0.7501, 0.6855)


Structure and simulated X-ray powder pattern of Mg5Si6 (DFT lattice parameters and positions (PBE); Cu Ka).

Top 10 peaks for 10 to 80 degrees two-theta, sorted by position:
33.8°, intensity 71.1, (1 2 0); 35.1°, intensity 44.9, (0 1 -5); 35.4°, intensity 36.7, (0 1 5); 35.5°, intensity 30.3, (1 -1 4); 36.3°, intensity 66.0, (2 0 1); 36.9°, intensity 30.5, (2 0 -1); 37.0°, intensity 100.0, (-1 1 4); 37.7°, intensity 93.4, (1 1 5); 39.0°, intensity 24.6, (1 1 -5); 39.9°, intensity 31.3, (1 -2 1)

Crystal structure
```
data_Mg5Si6
_cell_length_a 5.064
_cell_length_b 5.698
_cell_length_c 14.310
_cell_angle_alpha 90.00
_cell_angle_beta 87.28
_cell_angle_gamma 79.94
_symmetry_space_group_name_H-M 'P 1'
_symmetry_Int_Tables_number 1
_symmetry_space_group_name_Hall 'P 1'
loop_
_atom_site_label
_atom_site_type_symbol
_atom_site_fract_x
_atom_site_fract_y
_atom_site_fract_z
_atom_site_occupancy
Mg1 Mg 0.000 0.000 0.000 1
Mg2 Mg 0.054 0.500 0.114 1
Mg3 Mg 0.124 0.513 0.899 1
Mg4 Mg 0.275 0.281 0.296 1
Mg5 Mg 0.367 0.727 0.629 1
Mg6 Mg 0.488 0.810 0.163 1
Mg7 Mg 0.658 0.327 0.824 1
Mg8 Mg 0.752 0.134 0.612 1
Mg9 Mg 0.812 0.097 0.390 1
Mg10 Mg 0.906 0.600 0.497 1
Si1 Si 0.048 0.932 0.791 1
Si2 Si 0.213 0.274 0.723 1
Si3 Si 0.262 0.054 0.487 1
Si4 Si 0.368 0.746 0.360 1
Si5 Si 0.440 0.424 0.475 1
Si6 Si 0.466 0.168 0.992 1
Si7 Si 0.550 0.854 0.811 1
Si8 Si 0.587 0.716 0.973 1
Si9 Si 0.611 0.296 0.141 1
Si10 Si 0.869 0.668 0.308 1
Si11 Si 0.876 0.633 0.693 1
Si12 Si 0.958 0.986 0.202 1
```


1.
CaCoO2: simulated powder X-ray diffraction pattern (Cu Kα (λ = 1.5418 Å)), based on a GGA+U-relaxed structure.

Principal peaks in the range 2θ from 15° to 90°, low angle first:
2θ (°)  I (rel.)  hkl
24.98  34  0 2 -2
28.81  33  0 2 1
29.94  61  0 1 -3
32.01  31  0 2 -3
32.30  100  0 3 -1
33.10  66  1 0 1
34.77  38  0 3 0
36.80  35  1 2 -1
37.43  33  1 2 -2
59.67  47  2 0 -1

```
data_CaCoO2
_symmetry_space_group_name_H-M 'P 1'
_symmetry_Int_Tables_number 1
_symmetry_space_group_name_Hall 'P 1'
_cell_length_a 3.101
_cell_length_b 8.332
_cell_length_c 9.074
_cell_angle_alpha 111.05
_cell_angle_beta 99.37
_cell_angle_gamma 91.67
loop_
_atom_site_label
_atom_site_type_symbol
_atom_site_fract_x
_atom_site_fract_y
- - -

Definitely a keeper ;-)
It would obviously be desirable to run the tubes across a tube tester, but if you don't have access to one I think it should be safe to try the amp without first testing the tubes, PROVIDED that you use a variac or equivalent to bring up the voltage very slowly, as I described. While you do that, look for any reddening of the plates in the tubes, as well as excessive warming of the transformers, and of any electrolytic capacitors which may be on top of the chassis. Obviously, don't go underneath the chassis unless you know exactly what you are doing, or there is an electrocution risk, even for some time after power is removed.

To help the chrome on similar vintage components, I've simply used commonly available metal polishes which list chrome as one of the metals they are suitable for. Such as Noxon, which you can find at supermarkets and hardware stores. There are also chrome-specific polishes, used for automotive and motorcycle purposes, but I'm not particularly familiar with them.

Apply the polish with cloths or cotton swabs, being very careful to get any of it on the lettering, and being careful not to get it into crevices from which you may not be able to wipe off the residue. Then wipe it off as directed.

-- Al

Of course I can't say with certainty that the tubes are the original units. I can say with certainty that they are Genelex KT-88s made in the UK (as stated on the tubes). The tops appear quite silvery. The sides look to be somewhat brown. I would also like to clean the tubes as it's clear people have touched them over the years and left some finger prints.

The caps for this model are all inside the base. Any suggestions for testing the caps?

I do appreciate the cautionary comments. I have a reasonable amount of experience working with electronics and some higher voltage stuff. However, my classes seemed to have skipped the section on tube based circuits ;)

I'm not sure I have easy access to a variac but I will check if I decide to plug it in. I also will give Terry a call.

The cleaning/ polish plan sounds like what I had in mind. Brasso and lots of TLC.
Oops! The first sentence of the last paragraph of my preceding post should have read:

Apply the polish with cloths or cotton swabs, being very careful NOT to get any of it on the lettering, and being careful not to get it into crevices from which you may not be able to wipe off the residue

-- Al
Here is another alternative. These guys are big on Mac gear.